File:
{"formula": "YH2I2", "functional": "PBE-GGA", "state": "optimized geometry", "n_ef_per_ev_cell": 0.000, "vol_a3_per_atom": 35.6, "total_magnetization_mub_per_atom": 0.000, "space_group": "C2/m", "final_energy_ev_per_atom": -3.9658, "mass_density_g_cm3": 3.2, "cell": [[8.270, 0.000, -0.775], [4.135, 5.328, -0.388], [2.834, 0.000, 7.814]], "species": ["I", "I", "I", "I", "H", "H", "H", "H", "Y", "Y"], "fractional_positions": [[0.063, 0.503, 0.742], [0.937, 0.497, 0.258], [0.434, 0.503, 0.258], [0.566, 0.497, 0.742], [0.100, 0.000, 0.904], [0.053, 0.000, 0.095], [0.900, 0.000, 0.096], [0.947, 0.000, 0.905], [0.173, 0.654, 0.000], [0.827, 0.346, 0.000]]}

{"formula": "Ba2TaGe2N6", "functional": "PBE-GGA", "state": "optimized geometry", "n_ef_per_ev_cell": 5.828, "vol_a3_per_atom": 16.1, "total_magnetization_mub_per_atom": 0.000, "space_group": "R-3m", "final_energy_ev_per_atom": -7.1697, "e_form_raw_ev_per_atom": -0.362, "mass_density_g_cm3": 6.4, "cell": [[-3.137, 4.608, 2.006], [-1.680, 0.193, 5.678], [3.343, 4.373, 3.931]], "species": ["Ta", "N", "N", "N", "N", "N", "N", "Ge", "Ge", "Ba", "Ba"], "fractional_positions": [[0.000, 0.000, 0.000], [0.766, 0.244, 0.225], [0.234, 0.756, 0.775], [0.234, 0.234, 0.775], [0.766, 0.766, 0.225], [0.244, 0.766, 0.225], [0.756, 0.234, 0.775], [0.407, 0.407, 0.779], [0.593, 0.593, 0.221], [0.213, 0.213, 0.360], [0.787, 0.787, 0.640]]}

{"formula": "Ba2CoRh", "functional": "PBE-GGA", "state": "optimized geometry", "delta_e_f_ev_per_atom": 0.43, "relative_energy_ev_per_atom": 0.445, "n_ef_per_ev_cell": 2.202, "vol_a3_per_atom": 28.5, "total_magnetization_mub_per_atom": 0.503, "space_group": "Fm-3m", "final_energy_ev_per_atom": -4.1501, "mass_density_g_cm3": 6.4, "cell": [[-0.976, -4.947, 2.054], [-0.040, -0.750, 5.393], [-4.692, -1.002, 2.575]], "species": ["Rh", "Co", "Ba", "Ba"], "fractional_positions": [[0.500, 0.500, 0.500], [0.000, 0.000, 0.000], [0.750, 0.750, 0.750], [0.250, 0.250, 0.250]]}

{"formula": "NaHgSe2Cl", "functional": "PBE-GGA", "state": "optimized geometry", "n_ef_per_ev_cell": 6.442, "vol_a3_per_atom": 31.5, "total_magnetization_mub_per_atom": 0.182, "space_group": "P4/mmm", "final_energy_ev_per_atom": -2.2268, "e_form_raw_ev_per_atom": -0.140, "mass_density_g_cm3": 4.4, "cell": [[5.228, 0.000, 0.000], [0.000, 5.768, 0.000], [0.000, 0.000, 5.228]], "species": ["Hg", "Na", "Se", "Se", "Cl"], "fractional_positions": [[0.000, 0.000, 0.000], [0.500, 0.500, 0.500], [0.500, 0.000, 0.000], [0.000, 0.000, 0.500], [0.000, 0.500, 0.000]]}

{"formula": "TmCdFe4", "functional": "PBE-GGA", "state": "optimized geometry", "delta_e_f_ev_per_atom": -0.03, "n_ef_per_ev_cell": 5.143, "vol_a3_per_atom": 15.1, "total_magnetization_mub_per_atom": 1.468, "space_group": "F-43m", "final_energy_ev_per_atom": -6.5688, "mass_density_g_cm3": 9.2, "cell": [[5.045, 0.000, 0.000], [2.522, 4.369, 0.000], [2.522, 1.456, 4.119]], "species": ["Cd", "Fe", "Fe", "Fe", "Fe", "Tm"], "fractional_positions": [[0.250, 0.250, 0.250], [0.625, 0.625, 0.124], [0.124, 0.625, 0.625], [0.625, 0.124, 0.625], [0.625, 0.625, 0.625], [0.000, 0.000, 0.000]]}

{"formula": "Mg4PIr2", "functional": "PBE-GGA", "state": "optimized geometry", "delta_e_f_ev_per_atom": 0.28, "n_ef_per_ev_cell": 6.262, "vol_a3_per_atom": 21.9, "total_magnetization_mub_per_atom": 0.159, "space_group": "I4/mmm", "final_energy_ev_per_atom": -3.9397, "mass_density_g_cm3": 5.6, "cell": [[4.911, 0.000, 0.000], [0.000, 4.911, 0.000], [2.455, 2.455, 6.355]], "species": ["P", "Mg", "Mg", "Mg", "Mg", "Ir", "Ir"], "fractional_positions": [[0.000, 0.000, 0.000], [0.806, 0.806, 0.389], [0.000, 0.500, 0.000], [0.194, 0.194, 0.611], [0.500, 0.000, 0.000], [0.401, 0.401, 0.199], [0.599, 0.599, 0.801]]}
Job:
Retype all of the entries above without additions.
Here it is:
{"formula": "YH2I2", "functional": "PBE-GGA", "state": "optimized geometry", "n_ef_per_ev_cell": 0.000, "vol_a3_per_atom": 35.6, "total_magnetization_mub_per_atom": 0.000, "space_group": "C2/m", "final_energy_ev_per_atom": -3.9658, "mass_density_g_cm3": 3.2, "cell": [[8.270, 0.000, -0.775], [4.135, 5.328, -0.388], [2.834, 0.000, 7.814]], "species": ["I", "I", "I", "I", "H", "H", "H", "H", "Y", "Y"], "fractional_positions": [[0.063, 0.503, 0.742], [0.937, 0.497, 0.258], [0.434, 0.503, 0.258], [0.566, 0.497, 0.742], [0.100, 0.000, 0.904], [0.053, 0.000, 0.095], [0.900, 0.000, 0.096], [0.947, 0.000, 0.905], [0.173, 0.654, 0.000], [0.827, 0.346, 0.000]]}

{"formula": "Ba2TaGe2N6", "functional": "PBE-GGA", "state": "optimized geometry", "n_ef_per_ev_cell": 5.828, "vol_a3_per_atom": 16.1, "total_magnetization_mub_per_atom": 0.000, "space_group": "R-3m", "final_energy_ev_per_atom": -7.1697, "e_form_raw_ev_per_atom": -0.362, "mass_density_g_cm3": 6.4, "cell": [[-3.137, 4.608, 2.006], [-1.680, 0.193, 5.678], [3.343, 4.373, 3.931]], "species": ["Ta", "N", "N", "N", "N", "N", "N", "Ge", "Ge", "Ba", "Ba"], "fractional_positions": [[0.000, 0.000, 0.000], [0.766, 0.244, 0.225], [0.234, 0.756, 0.775], [0.234, 0.234, 0.775], [0.766, 0.766, 0.225], [0.244, 0.766, 0.225], [0.756, 0.234, 0.775], [0.407, 0.407, 0.779], [0.593, 0.593, 0.221], [0.213, 0.213, 0.360], [0.787, 0.787, 0.640]]}

{"formula": "Ba2CoRh", "functional": "PBE-GGA", "state": "optimized geometry", "delta_e_f_ev_per_atom": 0.43, "relative_energy_ev_per_atom": 0.445, "n_ef_per_ev_cell": 2.202, "vol_a3_per_atom": 28.5, "total_magnetization_mub_per_atom": 0.503, "space_group": "Fm-3m", "final_energy_ev_per_atom": -4.1501, "mass_density_g_cm3": 6.4, "cell": [[-0.976, -4.947, 2.054], [-0.040, -0.750, 5.393], [-4.692, -1.002, 2.575]], "species": ["Rh", "Co", "Ba", "Ba"], "fractional_positions": [[0.500, 0.500, 0.500], [0.000, 0.000, 0.000], [0.750, 0.750, 0.750], [0.250, 0.250, 0.250]]}

{"formula": "NaHgSe2Cl", "functional": "PBE-GGA", "state": "optimized geometry", "n_ef_per_ev_cell": 6.442, "vol_a3_per_atom": 31.5, "total_magnetization_mub_per_atom": 0.182, "space_group": "P4/mmm", "final_energy_ev_per_atom": -2.2268, "e_form_raw_ev_per_atom": -0.140, "mass_density_g_cm3": 4.4, "cell": [[5.228, 0.000, 0.000], [0.000, 5.768, 0.000], [0.000, 0.000, 5.228]], "species": ["Hg", "Na", "Se", "Se", "Cl"], "fractional_positions": [[0.000, 0.000, 0.000], [0.500, 0.500, 0.500], [0.500, 0.000, 0.000], [0.000, 0.000, 0.500], [0.000, 0.500, 0.000]]}

{"formula": "TmCdFe4", "functional": "PBE-GGA", "state": "optimized geometry", "delta_e_f_ev_per_atom": -0.03, "n_ef_per_ev_cell": 5.143, "vol_a3_per_atom": 15.1, "total_magnetization_mub_per_atom": 1.468, "space_group": "F-43m", "final_energy_ev_per_atom": -6.5688, "mass_density_g_cm3": 9.2, "cell": [[5.045, 0.000, 0.000], [2.522, 4.369, 0.000], [2.522, 1.456, 4.119]], "species": ["Cd", "Fe", "Fe", "Fe", "Fe", "Tm"], "fractional_positions": [[0.250, 0.250, 0.250], [0.625, 0.625, 0.124], [0.124, 0.625, 0.625], [0.625, 0.124, 0.625], [0.625, 0.625, 0.625], [0.000, 0.000, 0.000]]}

{"formula": "Mg4PIr2", "functional": "PBE-GGA", "state": "optimized geometry", "delta_e_f_ev_per_atom": 0.28, "n_ef_per_ev_cell": 6.262, "vol_a3_per_atom": 21.9, "total_magnetization_mub_per_atom": 0.159, "space_group": "I4/mmm", "final_energy_ev_per_atom": -3.9397, "mass_density_g_cm3": 5.6, "cell": [[4.911, 0.000, 0.000], [0.000, 4.911, 0.000], [2.455, 2.455, 6.355]], "species": ["P", "Mg", "Mg", "Mg", "Mg", "Ir", "Ir"], "fractional_positions": [[0.000, 0.000, 0.000], [0.806, 0.806, 0.389], [0.000, 0.500, 0.000], [0.194, 0.194, 0.611], [0.500, 0.000, 0.000], [0.401, 0.401, 0.199], [0.599, 0.599, 0.801]]}